Search the block underneath for the word "for" and reproduce each line that has it.

+++
[1]
Starting from a cell relaxed with PBE, the powder diffractogram of CaPmAu was simulated for Cu Ka.

Principal peaks in the range 10° ≤ 2θ ≤ 90°, sorted by position:
- 2θ = 13.6°, d = 6.517 Å, intensity 100
- 2θ = 19.4°, d = 4.582 Å, intensity 68
- 2θ = 23.1°, d = 3.852 Å, intensity 59
- 2θ = 30.5°, d = 2.928 Å, intensity 30
- 2θ = 30.8°, d = 2.901 Å, intensity 68
- 2θ = 35.5°, d = 2.526 Å, intensity 99
- 2θ = 38.7°, d = 2.329 Å, intensity 41
- 2θ = 43.8°, d = 2.068 Å, intensity 28

Cell and atoms:
Unit cell a=12.2148 b=13.8585 c=9.2696 alpha=90.00 beta=90.00 gamma=90.00
Space group Fdd2 (No. 43)
One atom of each set of equivalent atoms:
Ca  0.0888  0.1272  0.0000 x16
Pm  0.0214  0.1298  0.4182 x16
Au  0.0532  0.2310  0.6957 x16

[2]
Starting from a cell relaxed with PBE, the powder diffractogram of CaPmAu3 was simulated for Cu Ka.

Principal peaks in the range 10° ≤ 2θ ≤ 90°, sorted by position:
- 2θ = 11.5°, d = 7.703 Å, intensity 15
- 2θ = 23.0°, d = 3.866 Å, intensity 43
- 2θ = 32.4°, d = 2.763 Å, intensity 100
- 2θ = 34.9°, d = 2.568 Å, intensity 16
- 2θ = 35.6°, d = 2.525 Å, intensity 62
- 2θ = 37.5°, d = 2.396 Å, intensity 76
- 2θ = 37.9°, d = 2.372 Å, intensity 20
- 2θ = 46.5°, d = 1.953 Å, intensity 31

Cell and atoms:
Unit cell a=8.0970 b=5.5290 c=11.3660 alpha=90.00 beta=107.94 gamma=90.00
Space group P2_1/c (No. 14)
One atom of each set of equivalent atoms:
Ca  0.0925  0.1897  0.1646 x4
Pm  0.3789  0.7433  0.3960 x4
Au  0.1543  0.6899  0.1037 x4
Au  0.2139  0.2410  0.4419 x4
Au  0.4820  0.2482  0.3215 x4

[3]
Starting from a cell relaxed with PBE, the powder diffractogram of Ca2PmAu2 was simulated for Cu Ka.

Principal peaks in the range 10° ≤ 2θ ≤ 90°, sorted by position:
- 2θ = 18.9°, d = 4.687 Å, intensity 35
- 2θ = 24.0°, d = 3.715 Å, intensity 28
- 2θ = 34.6°, d = 2.593 Å, intensity 26
- 2θ = 34.9°, d = 2.571 Å, intensity 100
- 2θ = 35.5°, d = 2.526 Å, intensity 27
- 2θ = 50.4°, d = 1.809 Å, intensity 18
- 2θ = 62.2°, d = 1.493 Å, intensity 28
- 2θ = 63.4°, d = 1.467 Å, intensity 18

Cell and atoms:
Unit cell a=5.0522 b=5.1850 c=10.9622 alpha=90.00 beta=90.00 gamma=90.00
Space group Pmmn (No. 59, origin choice 2)
One atom of each set of equivalent atoms:
Ca  0.2500  0.2500  0.0013 x2
Ca  0.2500  0.2500  0.3287 x2
Pm  0.2500  0.2500  0.6614 x2
Au  0.2500  0.7500  0.1676 x2
Au  0.2500  0.7500  0.5088 x2

[4]
Starting from a cell relaxed with PBE, the powder diffractogram of CaPm3Au3 was simulated for Cu Ka.

Principal peaks in the range 10° ≤ 2θ ≤ 90°, sorted by position:
- 2θ = 12.1°, d = 7.309 Å, intensity 46
- 2θ = 16.9°, d = 5.233 Å, intensity 21
- 2θ = 33.7°, d = 2.658 Å, intensity 85
- 2θ = 34.3°, d = 2.616 Å, intensity 49
- 2θ = 35.1°, d = 2.555 Å, intensity 35
- 2θ = 35.8°, d = 2.511 Å, intensity 100
- 2θ = 39.2°, d = 2.296 Å, intensity 19
- 2θ = 49.9°, d = 1.828 Å, intensity 19

Cell and atoms:
Unit cell a=10.2532 b=10.4651 c=7.3115 alpha=90.00 beta=94.55 gamma=90.00
Space group C2/m (No. 12)
One atom of each set of equivalent atoms:
Ca  0.2494  0.0000  0.0335 x4
Pm  0.0000  0.2471  0.0000 x4
Pm  0.0000  0.3040  0.5000 x4
Pm  0.1935  0.0000  0.5137 x4
Au  0.0449  0.5000  0.2125 x4
Au  0.2456  0.2517  0.2646 x8

[5]
Starting from a cell relaxed with PBE, the powder diffractogram of Ca3Pm3Te8Au was simulated for Cu Ka.

Principal peaks in the range 10° ≤ 2θ ≤ 90°, sorted by position:
- 2θ = 12.1°, d = 7.324 Å, intensity 31
- 2θ = 23.1°, d = 3.849 Å, intensity 22
- 2θ = 28.0°, d = 3.191 Å, intensity 100
- 2θ = 28.7°, d = 3.113 Å, intensity 44
- 2θ = 39.6°, d = 2.277 Å, intensity 19
- 2θ = 40.2°, d = 2.242 Å, intensity 34
- 2θ = 40.3°, d = 2.235 Å, intensity 18
- 2θ = 40.7°, d = 2.215 Å, intensity 33

Cell and atoms:
Unit cell a=15.2081 b=9.1097 c=8.9425 alpha=90.00 beta=125.03 gamma=90.00
Space group C2/m (No. 12)
One atom of each set of equivalent atoms:
Ca  0.0000  0.0000  0.0000 x2
Ca  0.2500  0.2500  0.0000 x4
Pm  0.0000  0.5000  0.5000 x2
Pm  0.2500  0.2500  0.5000 x4
Te  0.0026  0.2706  0.2368 x8
+++

Starting from a cell relaxed with PBE, the powder diffractogram of CaPmAu was simulated for Cu Ka.
Starting from a cell relaxed with PBE, the powder diffractogram of CaPmAu3 was simulated for Cu Ka.
Starting from a cell relaxed with PBE, the powder diffractogram of Ca2PmAu2 was simulated for Cu Ka.
Starting from a cell relaxed with PBE, the powder diffractogram of CaPm3Au3 was simulated for Cu Ka.
Starting from a cell relaxed with PBE, the powder diffractogram of Ca3Pm3Te8Au was simulated for Cu Ka.